== Entries ==
(1)
A relaxed ErBeGa2Ni4 crystal, computed with PBE-GGA.

Calculated values
- size of the total moment (μB/f.u.) = 0.0
- VASP energy (eV/atom) = -5.13
- energy relative to the elements (meV/atom) = -450

a = 8.198 Å, b = 8.198 Å, c = 8.198 Å
α = 28.24°, β = 28.24°, γ = 28.24°
Element x y z (fractional)
1 Er 0.000 0.000 0.000
2 Be 0.500 0.500 0.500
3 Ga 0.241 0.241 0.241
4 Ga 0.759 0.759 0.759
5 Ni 0.135 0.135 0.135
6 Ni 0.408 0.408 0.408
7 Ni 0.592 0.592 0.592
8 Ni 0.865 0.865 0.865

---

(2)
A relaxed Er2BeGa4Pd3 crystal, computed with PBE-GGA.

Calculated values
- size of the total moment (μB/f.u.) = 0.0
- VASP energy (eV/atom) = -4.70
- energy relative to the elements (meV/atom) = -650

a = 3.961 Å, b = 3.961 Å, c = 11.374 Å
α = 90.00°, β = 90.00°, γ = 90.00°
Element x y z (fractional)
1 Er 0.000 0.500 0.242
2 Er 0.500 0.000 0.758
3 Be 0.500 0.500 0.000
4 Ga 0.000 0.000 0.500
5 Ga 0.000 0.500 0.869
6 Ga 0.500 0.000 0.131
7 Ga 0.500 0.500 0.500
8 Pd 0.000 0.000 0.000
9 Pd 0.000 0.500 0.648
10 Pd 0.500 0.000 0.352

---

(3)
A relaxed ErBeGa2Pd4 crystal, computed with PBE-GGA.

Calculated values
- size of the total moment (μB/f.u.) = 0.0
- VASP energy (eV/atom) = -5.08
- energy relative to the elements (meV/atom) = -694

a = 8.256 Å, b = 8.256 Å, c = 8.256 Å
α = 30.40°, β = 30.40°, γ = 30.40°
Element x y z (fractional)
1 Er 0.000 0.000 0.000
2 Be 0.500 0.500 0.500
3 Ga 0.245 0.245 0.245
4 Ga 0.755 0.755 0.755
5 Pd 0.134 0.134 0.134
6 Pd 0.403 0.403 0.403
7 Pd 0.597 0.597 0.597
8 Pd 0.866 0.866 0.866

---

(4)
A relaxed Er2BeGaPt6 crystal, computed with PBE-GGA.

Calculated values
- size of the total moment (μB/f.u.) = 0.0
- VASP energy (eV/atom) = -6.09
- energy relative to the elements (meV/atom) = -878

a = 5.631 Å, b = 5.631 Å, c = 7.376 Å
α = 112.29°, β = 112.29°, γ = 60.04°
Element x y z (fractional)
1 Er 0.209 0.209 0.127
2 Er 0.791 0.791 0.873
3 Be 0.000 0.000 0.500
4 Ga 0.500 0.500 0.000
5 Pt 0.241 0.241 0.713
6 Pt 0.241 0.732 0.713
7 Pt 0.268 0.759 0.287
8 Pt 0.732 0.241 0.713
9 Pt 0.759 0.268 0.287
10 Pt 0.759 0.759 0.287

---

(5)
A relaxed ErBeGaPt3 crystal, computed with PBE-GGA.

Calculated values
- size of the total moment (μB/f.u.) = 0.0
- VASP energy (eV/atom) = -5.60
- energy relative to the elements (meV/atom) = -693

a = 6.698 Å, b = 6.698 Å, c = 5.459 Å
α = 90.00°, β = 90.00°, γ = 118.63°
Element x y z (fractional)
1 Er 0.197 0.803 0.750
2 Er 0.803 0.197 0.250
3 Be 0.118 0.882 0.250
4 Be 0.882 0.118 0.750
5 Ga 0.454 0.546 0.750
6 Ga 0.546 0.454 0.250
7 Pt 0.201 0.201 0.000
8 Pt 0.201 0.201 0.500
9 Pt 0.312 0.688 0.250
10 Pt 0.688 0.312 0.750
11 Pt 0.799 0.799 0.000
12 Pt 0.799 0.799 0.500

---

(6)
A relaxed Er2Be4GaPt3 crystal, computed with PBE-GGA.

Calculated values
- size of the total moment (μB/f.u.) = 0.0
- VASP energy (eV/atom) = -5.29
- energy relative to the elements (meV/atom) = -767

a = 3.953 Å, b = 3.953 Å, c = 9.744 Å
α = 90.00°, β = 90.00°, γ = 90.00°
Element x y z (fractional)
1 Er 0.000 0.500 0.248
2 Er 0.500 0.000 0.752
3 Be 0.000 0.000 0.000
4 Be 0.000 0.500 0.637
5 Be 0.500 0.000 0.363
6 Be 0.500 0.500 0.000
7 Ga 0.000 0.000 0.500
8 Pt 0.000 0.500 0.876
9 Pt 0.500 0.000 0.124
10 Pt 0.500 0.500 0.500

---

(7)
A relaxed Er2BeGa3Pt4 crystal, computed with PBE-GGA.

Calculated values
- size of the total moment (μB/f.u.) = 0.0
- VASP energy (eV/atom) = -5.50
- energy relative to the elements (meV/atom) = -892

a = 4.048 Å, b = 4.048 Å, c = 10.885 Å
α = 90.00°, β = 90.00°, γ = 90.00°
Element x y z (fractional)
1 Er 0.000 0.500 0.237
2 Er 0.500 0.000 0.763
3 Be 0.500 0.500 0.000
4 Ga 0.000 0.000 0.000
5 Ga 0.000 0.500 0.640
6 Ga 0.500 0.000 0.360
7 Pt 0.000 0.000 0.500
8 Pt 0.000 0.500 0.867
9 Pt 0.500 0.000 0.133
10 Pt 0.500 0.500 0.500

---

(8)
A relaxed Er2BeGa4Pt3 crystal, computed with PBE-GGA.

Calculated values
- size of the total moment (μB/f.u.) = 0.0
- VASP energy (eV/atom) = -5.10
- energy relative to the elements (meV/atom) = -795

a = 3.987 Å, b = 3.987 Å, c = 11.268 Å

== Job ==
Find the line further up that holds "0.758", then retype that line and all lines after it there.

== Reply ==
2 Er 0.500 0.000 0.758
3 Be 0.500 0.500 0.000
4 Ga 0.000 0.000 0.500
5 Ga 0.000 0.500 0.869
6 Ga 0.500 0.000 0.131
7 Ga 0.500 0.500 0.500
8 Pd 0.000 0.000 0.000
9 Pd 0.000 0.500 0.648
10 Pd 0.500 0.000 0.352

---

(3)
A relaxed ErBeGa2Pd4 crystal, computed with PBE-GGA.

Calculated values
- size of the total moment (μB/f.u.) = 0.0
- VASP energy (eV/atom) = -5.08
- energy relative to the elements (meV/atom) = -694

a = 8.256 Å, b = 8.256 Å, c = 8.256 Å
α = 30.40°, β = 30.40°, γ = 30.40°
Element x y z (fractional)
1 Er 0.000 0.000 0.000
2 Be 0.500 0.500 0.500
3 Ga 0.245 0.245 0.245
4 Ga 0.755 0.755 0.755
5 Pd 0.134 0.134 0.134
6 Pd 0.403 0.403 0.403
7 Pd 0.597 0.597 0.597
8 Pd 0.866 0.866 0.866

---

(4)
A relaxed Er2BeGaPt6 crystal, computed with PBE-GGA.

Calculated values
- size of the total moment (μB/f.u.) = 0.0
- VASP energy (eV/atom) = -6.09
- energy relative to the elements (meV/atom) = -878

a = 5.631 Å, b = 5.631 Å, c = 7.376 Å
α = 112.29°, β = 112.29°, γ = 60.04°
Element x y z (fractional)
1 Er 0.209 0.209 0.127
2 Er 0.791 0.791 0.873
3 Be 0.000 0.000 0.500
4 Ga 0.500 0.500 0.000
5 Pt 0.241 0.241 0.713
6 Pt 0.241 0.732 0.713
7 Pt 0.268 0.759 0.287
8 Pt 0.732 0.241 0.713
9 Pt 0.759 0.268 0.287
10 Pt 0.759 0.759 0.287

---

(5)
A relaxed ErBeGaPt3 crystal, computed with PBE-GGA.

Calculated values
- size of the total moment (μB/f.u.) = 0.0
- VASP energy (eV/atom) = -5.60
- energy relative to the elements (meV/atom) = -693

a = 6.698 Å, b = 6.698 Å, c = 5.459 Å
α = 90.00°, β = 90.00°, γ = 118.63°
Element x y z (fractional)
1 Er 0.197 0.803 0.750
2 Er 0.803 0.197 0.250
3 Be 0.118 0.882 0.250
4 Be 0.882 0.118 0.750
5 Ga 0.454 0.546 0.750
6 Ga 0.546 0.454 0.250
7 Pt 0.201 0.201 0.000
8 Pt 0.201 0.201 0.500
9 Pt 0.312 0.688 0.250
10 Pt 0.688 0.312 0.750
11 Pt 0.799 0.799 0.000
12 Pt 0.799 0.799 0.500

---

(6)
A relaxed Er2Be4GaPt3 crystal, computed with PBE-GGA.

Calculated values
- size of the total moment (μB/f.u.) = 0.0
- VASP energy (eV/atom) = -5.29
- energy relative to the elements (meV/atom) = -767

a = 3.953 Å, b = 3.953 Å, c = 9.744 Å
α = 90.00°, β = 90.00°, γ = 90.00°
Element x y z (fractional)
1 Er 0.000 0.500 0.248
2 Er 0.500 0.000 0.752
3 Be 0.000 0.000 0.000
4 Be 0.000 0.500 0.637
5 Be 0.500 0.000 0.363
6 Be 0.500 0.500 0.000
7 Ga 0.000 0.000 0.500
8 Pt 0.000 0.500 0.876
9 Pt 0.500 0.000 0.124
10 Pt 0.500 0.500 0.500

---

(7)
A relaxed Er2BeGa3Pt4 crystal, computed with PBE-GGA.

Calculated values
- size of the total moment (μB/f.u.) = 0.0
- VASP energy (eV/atom) = -5.50
- energy relative to the elements (meV/atom) = -892

a = 4.048 Å, b = 4.048 Å, c = 10.885 Å
α = 90.00°, β = 90.00°, γ = 90.00°
Element x y z (fractional)
1 Er 0.000 0.500 0.237
2 Er 0.500 0.000 0.763
3 Be 0.500 0.500 0.000
4 Ga 0.000 0.000 0.000
5 Ga 0.000 0.500 0.640
6 Ga 0.500 0.000 0.360
7 Pt 0.000 0.000 0.500
8 Pt 0.000 0.500 0.867
9 Pt 0.500 0.000 0.133
10 Pt 0.500 0.500 0.500

---

(8)
A relaxed Er2BeGa4Pt3 crystal, computed with PBE-GGA.

Calculated values
- size of the total moment (μB/f.u.) = 0.0
- VASP energy (eV/atom) = -5.10
- energy relative to the elements (meV/atom) = -795

a = 3.987 Å, b = 3.987 Å, c = 11.268 Å